The rhythm of the Assembly is punctuated by two moments of prayer. After we arrive the delegates go to the worship space where we have a morning prayer. Each day has a theme that takes some aspect of the work of the day.
Based on the psalm 139: “You trace my journeys and my resting-places and you are acquainted with all my ways”. This psalm gives the setting of the prayer experiences. The Assembly is seen as a journey or pilgrimage that is expressed in the theme “lead us” to justice and peace. All of the prayer experiences are designed as one more concrete step together toward the realization of our prayer to God for justice and peace.
Pilgrimage is an ancient activity of all religions. We can think of that first great pilgrimage where God called Abraham out of his home land to a new land. The Old Testament is filled with the stories of how God was leading and forming a new people with a purpose to be carried out in God’s creation. In the New Testament, Jesus is the great pilgrim leader, leading us as the Good Shepherd back home to the heart of God. In fact he is, as John says in his Gospel, “the way, the truth, and the life”.
Each day will use some symbol of this journey together.
Today the symbol was the tree of life. This symbol may be understood from several different aspects. In the creation story trees were made to sustain life-for clean air, to rest under the shade of their leaves and to eat of their fruit. They also provide beauty as seen in these autumn days where colors abound and amaze the eye and uplift the spirit. Nevertheless the tree is also a symbol from the first pages of Genesis. It was placed in the center of the garden and called the tree of knowledge. Perhaps the harvest of its fruit was done without wisdom from the tree of life. In the New Testament the cross of Jesus was identified by the apostles as the tree of life (Acts 5:30; 10:39; 13:29).
I can’t but think of good friends of mine who have made their life’s pilgrimage collecting examples of the tree of life in art, literature and song.
We sang this refrain today: The righteous are like tress planted by living streams. Today’s evening worship ended with this prayer:
Creator of all life,
you brought into being all that is, and pronounced it good.
We are careless with your gifts.
You invite us to be stewards of your creation.
We take much and return little.
You want us to live in unity,
yet we build boundaries between people and nations.
Heal our divisive, miserly ways.
Forgive out greed.
Create in us hearts of generosity and humility.
Bible studies
After the worship, the assembly breaks into bible studies by language. This is a very imporatnt aspect of the gathering since it will break open the word of God around the theme of the Assembly.
Listen to the description of the studies from Fr. Lawrence.
Today’s study comes from the book of Genesis, the creation account. It is a reflection on the nature of life and how to celebrate, sustain and affirm it in relation to the theme of the assembly. We used a contextual interpretation of the text where we heard the text in its context, and then tried to identify how our various cultures hears the text and how the text interprets us. The group then shared how each identified with some aspect of the text and the group was enlightened by listening to how various cultures heard the text. This process produced a very rich result.
These materials data were left in the piece by mistake >
'''
1.
This record from the Materials Project database describes a relaxed structure of K3Dy. The functional is PBE.

Summary:
**Mass density**: 2.0 g/cm³

CIF file:
```
data_K3Dy
_chemical_formula_sum 'K6 Dy2'
_cell_length_a 8.6086
_cell_length_b 8.6086
_cell_length_c 7.0792
_cell_angle_alpha 90.00
_cell_angle_beta 90.00
_cell_angle_gamma 120.00
_symmetry_space_group_name_H-M 'P 63/m m c'
_symmetry_Int_Tables_number 194
_symmetry_space_group_name_Hall '-P 6c 2c'
loop_
_atom_site_label
_atom_site_fract_x
_atom_site_fract_y
_atom_site_fract_z
_atom_site_occupancy
K1 0.1713 0.3426 0.2500 1
Dy1 0.3333 0.6667 0.7500 1
```


2.
This record from the Materials Project database describes a relaxed structure of K3Dy. The functional is PBE.

Summary:
**Mass density**: 2.1 g/cm³

CIF file:
```
data_K3Dy
_chemical_formula_sum 'K6 Dy2'
_cell_length_a 5.8249
_cell_length_b 5.8249
_cell_length_c 13.2898
_cell_angle_alpha 90.00
_cell_angle_beta 90.00
_cell_angle_gamma 90.00
_symmetry_space_group_name_H-M 'I 4/m m m'
_symmetry_Int_Tables_number 139
_symmetry_space_group_name_Hall '-I 4 2'
loop_
_atom_site_label
_atom_site_fract_x
_atom_site_fract_y
_atom_site_fract_z
_atom_site_occupancy
K1 0.0000 0.0000 0.0000 1
K2 0.0000 0.5000 0.2500 1
Dy1 0.0000 0.0000 0.5000 1
```


3.
This record from the Materials Project database describes a relaxed structure of K3Dy. The functional is PBE.

Summary:
**Mass density**: 2.0 g/cm³

CIF file:
```
data_K3Dy
_chemical_formula_sum 'K12 Dy4'
_cell_length_a 9.7132
_cell_length_b 9.7132
_cell_length_c 9.7132
_cell_angle_alpha 90.00
_cell_angle_beta 90.00
_cell_angle_gamma 90.00
_symmetry_space_group_name_H-M 'F m -3 m'
_symmetry_Int_Tables_number 225
_symmetry_space_group_name_Hall '-F 4 2 3'
loop_
_atom_site_label
_atom_site_fract_x
_atom_site_fract_y
_atom_site_fract_z
_atom_site_occupancy
K1 0.0000 0.0000 0.0000 1
K2 0.2500 0.2500 0.2500 1
Dy1 0.0000 0.0000 0.5000 1
```


Result of the stability comparison: 1 is the most stable of them.


1.
This record from the Materials Project database describes a relaxed structure of SrLaDySnO6. The functional is PBE.

Summary:
**Mass density**: 6.8 g/cm³

CIF file:
```
data_SrLaDySnO6
_chemical_formula_sum 'Sr4 La4 Dy4 Sn4 O24'
_cell_length_a 8.3782
_cell_length_b 8.4006
_cell_length_c 8.4164
_cell_angle_alpha 90.00
_cell_angle_beta 90.00
_cell_angle_gamma 90.00
_symmetry_space_group_name_H-M 'P n n n'
_symmetry_Int_Tables_number 48
loop_
_symmetry_equiv_pos_as_xyz
'x,y,z'
'-x,-y,-z'
'-x+1/2,-y+1/2,z'
'x+1/2,y+1/2,-z'
'x,-y+1/2,-z+1/2'
'-x,y+1/2,z+1/2'
'-x+1/2,y,-z+1/2'
'x+1/2,-y,z+1/2'
loop_
_atom_site_label
_atom_site_fract_x
_atom_site_fract_y
_atom_site_fract_z
_atom_site_occupancy
Sr1 0.2500 0.2500 0.2500 1
Sr2 0.2500 0.7500 0.7500 1
La1 0.2500 0.2500 0.7500 1
La2 0.2500 0.7500 0.2500 1
Dy1 0.0000 0.0000 0.0000 1
Sn1 0.0000 0.0000 0.5000 1
O1 0.0368 0.2419 0.5563 1
O2 0.0476 0.0285 0.2588 1
O3 0.2414 0.5471 0.9681 1
```


2.
'''
Theme Plenary
The plenary session sets the tone for the conversations and programs of the WCC assembly for each day. In the plenary sessions the whole assembly gathers to hear reports or messages from various leaders or programs that have been sponsored by the churches in various parts of the world.
For example, Michel SidibĂ©, executive director of UNAIDS, the Joint United Nations Program on HIV/AIDS, encouraged the churches to “protect the vulnerable”.
Duleep de Chickera, Anglican Bishop of Colombo, Sri Lanka, spoke on the concept of “victim theology”. He noted that a theology disconnected from victims or in support of war in a violent world robbed of justice and peace amounts to the mutilation of the heart and mind of Jesus.
Dr Wedad Abbas Tawfik from the Coptic Orthodox Church of Alexandria in Egypt shared how the Egyptian people have born “witness to the God of life” by facing up to turbulences in their country. She called the WCC theme a universal prayer, directly relevant to the Egyptian Christians who, following events of the “Arab Spring”, have worked with their fellow Muslim citizens in pursuit of dignity, peace and social justice for their country.
These presentations were followed by a conversation in which the young theologian MĂ©lisande Schifter put some hard questions that youth ask to the presenters. What young people want to see is action and not more discourses. So the question put to the Assembly at the beginning is what will we concretely do about the issues.
Business Plenary
After lunch we are all back for the business meeting. Here the delegates deal with the various programs, policies and structure. Since this Assembly has adopted a politic of consensus there is no real “voting” going to take place on issues. Instead the delegates will try to find a common solution or consensus. They have two cards to raise: orange for favorable and blue for unfavorable.
Delegates do have the possibility to speak to issues. This first day everyone was on their good behavior and there were no real “hot” issues brought to the floor. During these sessions there may also be a major input given which can be up to three minutes. Delegates are eager to hear one of these tomorrow with Bishop Hilarion scheduled to speak.
Ecumenical conversations
Ecumenical conversations engage assembly participants in sustained, in-depth dialogue on critical issues that affect the unity, mission and witness of the church today – issues that require a response by the churches together.
There are 21 ecumenical conversations. Some examples of these include:
• Called to be one – new ecumenical landscapes
• The Church: toward a common vision
• Transformed by renewal: biblical sources and ecumenical perspectives
• Moral discernment for life, justice and peace
•We must pray together if we are to stay together
• Developing effective leadership: contextual ecumenical formation and theological education
• Together towards Life: mission in changing contexts
• Evangelism today: new ways for authentic discipleship
• Exploring Christian self- identity in a world of many faiths
Regional groups or confessional meetings
In these meetings there is an opportunity for the delegates to gather as churches in the same region or by confessional identity.
Even in Korea there are protests, There are some Christians who are not happy with the WCC and so they had the right to protest outside of the convention center. They were very respectful and for the most part silent.
The long day ends with prayer. These prayers pick up the theme of the day again but are more simple than the opening worship. By the end of the day most of us are pretty tired. Curious as it may be even in Korea do they celebrate Halloween. This is the restaurant where we are eating!
So I will wish you all:
Happy Halloween
Peace and all good!